Brief >
What is needed: type out the part of the entries further down that starts with the line with "-8.484 eV" and stops after the one with "1.51 -2.01".

Data >
........
Model P:
Density functional theory data (ωB97M-V/def2-TZVPD) for an isolated ion of composition C4H8NOS and charge -1.

Positions of all 15 atoms, in Å:
C1 -0.73 -2.38 0.46
N1 -0.19 -1.10 0.08
C2 -0.73 -0.37 -0.90
O1 -1.56 -0.81 -1.71
C3 -0.30 1.07 -0.92
C4 0.16 1.71 0.40
S1 1.57 0.95 1.27
H1 -0.05 -3.21 0.19
H2 -0.82 -2.40 1.56
H3 -1.67 -2.51 -0.05
H4 0.49 -0.65 0.70
H5 0.47 1.18 -1.68
H6 -1.22 1.51 -1.31
H7 -0.73 1.90 1.02
H8 0.49 2.70 0.11

- Kohn-Sham gap: 6.9 eV
- Net charge: -1
- SMILES: CNC(=O)CC[S-]
- LUMO level: 0.14334 Ha
- HOMO energy: -3.013 eV



Model Q:
Density functional theory data (ωB97M-V/def2-TZVPD) for a 3-piece molecular cluster, C4H8NOS overall.

Positions of all 15 atoms, in Å:
O1 0.33 1.09 0.11
C1 1.37 0.47 0.40
N1 2.49 0.99 0.86
C2 -2.16 2.81 -0.78
C3 -1.41 2.66 -1.85
S1 -0.87 -3.21 0.52
C4 1.33 -1.06 0.33
H1 2.42 2.00 0.84
H2 -1.67 2.58 0.17
H3 -3.13 3.28 -0.73
H4 -1.64 3.03 -2.85
H5 -0.53 2.02 -1.88
H6 1.78 -1.73 1.05
H7 0.30 -1.53 0.25
H8 1.72 -1.26 -0.67

- Kohn-Sham gap: 4.0 eV
- Net charge: -1
- LUMO level: 0.00548 Ha
- HOMO energy: -3.893 eV



Which of them is the most stable, and which is the least stable? model P and model Q, in that order.



Model P:
Density functional theory data (ωB97M-V/def2-TZVPD) for a 2-piece molecular cluster, C5H14S overall.

Positions of all 20 atoms, in Å:
C1 -1.13 0.04 2.00
C2 -1.53 -1.07 1.01
S1 -0.57 -1.47 -0.61
C3 -0.76 -0.09 -1.86
H1 -1.57 0.98 1.99
H2 -0.05 0.22 1.95
H3 -1.21 -0.41 3.10
H4 -1.49 -2.19 1.43
H5 -2.69 -0.91 0.71
H6 -0.41 -0.36 -2.81
H7 -1.56 0.44 -2.02
H8 -0.16 0.81 -1.57
C4 2.31 1.90 0.71
C5 1.98 1.66 -0.72
H9 3.37 1.94 0.66
H10 1.77 2.73 1.33
H11 2.27 0.93 1.42
H12 2.33 0.63 -1.14
H13 2.40 2.29 -1.35
H14 0.89 1.86 -0.82

- Kohn-Sham gap: 9.4 eV
- Net charge: 0
- SMILES: CCSC.CC
- LUMO level: 0.03414 Ha
- HOMO energy: -8.484 eV



Model Q:
Density functional theory data (ωB97M-V/def2-TZVPD) for a 2-piece molecular cluster, C5H14S overall.

Positions of all 20 atoms, in Å:
C1 1.22 -1.74 -0.80
C2 0.08 -0.82 -0.32
S1 -0.76 -1.56 1.12
C3 0.27 -0.98 2.48
H1 0.84 -2.46 -1.52
H2 1.79 -2.24 -0.03
H3 1.89 -1.09 -1.39
H4 0.51 0.12 0.00
H5 -0.59 -0.65 -1.15
H6 0.33 0.11 2.48
H7 -0.31 -1.21 3.37
H8 1.25 -1.44 2.48
C4 0.22 2.41 -1.64
C5 -0.77 3.59 -1.73
H9 1.10 2.58 -2.25
H10 0.55 2.21 -0.63
H11 -0.29 1.51 -2.01
H12 -0.73 4.01 -2.73
H13 -0.50 4.37 -1.02
H14 -1.78 3.26 -1.50

- Kohn-Sham gap: 9.4 eV
- Net charge: 0
- SMILES: CCSC.CC
- LUMO level: 0.03514 Ha
- HOMO energy: -8.414 eV



Model R:
Density functional theory data (ωB97M-V/def2-TZVPD) for a 2-piece molecular cluster, C5H14S overall.

Positions of all 20 atoms, in Å:
C1 1.92 -0.14 1.87
C2 1.07 -1.19 1.18
S1 1.47 -1.62 -0.58
C3 2.13 -0.04 -1.27
H1 1.28 0.30 2.65
H2 1.94 0.76 1.25
H3 2.79 -0.58 2.35
H4 1.14 -2.16 1.70
H5 -0.01 -1.06 1.26
H6 1.62 0.77 -0.74
H7 3.18 0.03 -0.98
H8 1.92 0.15 -2.30
C4 -1.91 0.20 -1.00
C5 -3.16 0.97 -0.60
H9 -1.17 0.71 -1.62
H10 -1.37 -0.05 -0.10
H11 -2.23 -0.66 -1.59
H12 -3.52 0.81 0.41
H13 -4.10 0.77 -1.12
H14 -3.00 2.03 -0.77

- Kohn-Sham gap: 9.3 eV
- Net charge: 0
- SMILES: CCSC.CC
- LUMO level: 0.03394 Ha
- HOMO energy: -8.387 eV



Which of them is the most stable, and which is the least stable? model Q and model P, in that order.



Model P:
Density functional theory data (ωB97M-V/def2-TZVPD) for a 2-piece molecular cluster, C5H14S overall.

Positions of all 20 atoms, in Å:
C1 0.98 -2.04 -1.21
C2 1.98 -1.26 -0.36
C3 2.03 -1.68 1.11
H1 0.89 -3.07 -0.88
H2 1.16 -2.01 -2.28
H3 -0.03 -1.66 -1.01
H4 1.86 -0.17 -0.47
H5 2.97 -1.46 -0.76
H6 3.05 -1.59 1.49
H7 1.38 -1.11 1.77
H8 1.90 -2.76 1.15
C4 -2.13 2.34 -0.88
C5 -0.88 2.03 -0.06
S1 -0.92 0.38 0.75
H9 -2.18 3.41 -1.07
H10 -2.99 2.08 -0.27
H11 -2.16 1.82 -1.83
H12 0.00 1.88 -0.68
H13 -0.69 2.79 0.69
H14 -2.22 0.27 1.07

- Kohn-Sham gap: 9.9 eV
- Net charge: 0
- SMILES: CCC.CCS
- LUMO level: 0.03379 Ha
- HOMO energy: -9.027 eV



Model Q:
........

Written answer >
- HOMO energy: -8.484 eV



Model Q:
Density functional theory data (ωB97M-V/def2-TZVPD) for a 2-piece molecular cluster, C5H14S overall.

Positions of all 20 atoms, in Å:
C1 1.22 -1.74 -0.80
C2 0.08 -0.82 -0.32
S1 -0.76 -1.56 1.12
C3 0.27 -0.98 2.48
H1 0.84 -2.46 -1.52
H2 1.79 -2.24 -0.03
H3 1.89 -1.09 -1.39
H4 0.51 0.12 0.00
H5 -0.59 -0.65 -1.15
H6 0.33 0.11 2.48
H7 -0.31 -1.21 3.37
H8 1.25 -1.44 2.48
C4 0.22 2.41 -1.64
C5 -0.77 3.59 -1.73
H9 1.10 2.58 -2.25
H10 0.55 2.21 -0.63
H11 -0.29 1.51 -2.01